Activity:
Count the lines below that contain the word "Space" and give the number alone.

Entries:
Record 1
! Li8Ag2Bi, optimized geometry, DFT PBE; values from VASP
&SYSTEM
  ibrav = 0, nat = 11, ntyp = 3
/
ATOMIC_SPECIES
Li 6.94 Li.upf
Ag 107.87 Ag.upf
Bi 208.98 Bi.upf
CELL_PARAMETERS angstrom
3.8919 -6.1667 0.0000
3.8919 6.1667 0.0000
-1.4449 0.0000 4.4761
ATOMIC_POSITIONS angstrom
Li 0.6267 1.4483 2.6513
Li 3.8919 3.3422 0.0000
Li 0.6267 -1.4483 2.6513
Li 2.7007 0.0000 0.7755
Li 3.6381 0.0000 3.7006
Li 5.7120 1.4483 1.8248
Li 3.8919 -3.3422 0.0000
Li 5.7120 -1.4483 1.8248
Ag 3.1694 2.2119 2.2380
Ag 3.1694 -2.2119 2.2380
Bi 0.0000 0.0000 0.0000
! Uncorrected energy   -2.469 eV per atom
! Energy of formation from the pure elements   -19.9 kJ per mole of atoms
! Calculated volume   214.8 Å³/f.u.
! Space group   C2/m (12)
! Density   3.712 Mg/m³


Record 2
! BaTb2N, optimized geometry, DFT PBE; values from VASP
&SYSTEM
  ibrav = 0, nat = 4, ntyp = 3
/
ATOMIC_SPECIES
Ba 137.33 Ba.upf
Tb 158.93 Tb.upf
N 14.01 N.upf
CELL_PARAMETERS angstrom
1.7837 1.0298 10.0402
-1.7837 1.0298 10.0402
0.0000 -2.0596 10.0402
ATOMIC_POSITIONS angstrom
Ba 0.0000 0.0000 0.0000
Tb 0.0000 0.0000 3.6988
Tb 0.0000 0.0000 26.4219
N 0.0000 0.0000 15.0604
! Uncorrected energy   -5.478 eV per atom
! Raw formation energy   -0.601 eV/atom
! Calculated volume   110.7 Å³/f.u.
! Space group   R-3m (166)
! Density   7.041 Mg/m³


Record 3
! CeGdYEr, optimized geometry, DFT PBE; values from VASP
&SYSTEM
  ibrav = 0, nat = 4, ntyp = 4
/
ATOMIC_SPECIES
Ce 140.12 Ce.upf
Gd 157.25 Gd.upf
Y 88.91 Y.upf
Er 167.26 Er.upf
CELL_PARAMETERS angstrom
0.0000 4.0060 4.0060
4.0060 0.0000 4.0060
4.0060 4.0060 0.0000
ATOMIC_POSITIONS angstrom
Ce 0.0000 0.0000 0.0000
Gd 4.0060 4.0060 4.0060
Y 6.0090 6.0090 6.0090
Er 2.0030 2.0030 2.0030
! Uncorrected energy   -7.602 eV per atom
! Energy of formation from the pure elements   15.3 kJ per mole of atoms
! Calculated volume   128.6 Å³/f.u.
! Space group   F-43m (216)
! Density   7.149 Mg/m³


Record 4
! Pr2U3S8, optimized geometry, DFT PBE; values from VASP
&SYSTEM
  ibrav = 0, nat = 13, ntyp = 3
/
ATOMIC_SPECIES
Pr 140.91 Pr.upf
U 238.03 U.upf
S 32.06 S.upf
CELL_PARAMETERS angstrom
7.1230 -3.9995 0.0000
7.1230 3.9995 0.0000
-2.2195 0.0000 6.3030
ATOMIC_POSITIONS angstrom
Pr 2.9937 0.0000 1.0272
Pr 9.0329 0.0000 5.2758
U 6.0133 2.0543 3.1515
U 7.1230 0.0000 0.0000
U 6.0133 -2.0543 3.1515
S 0.6818 0.0000 2.6774
S 5.1912 1.8423 0.5527
S 4.2219 0.0000 3.6529
S 6.8354 1.8423 5.7502
S 5.1912 -1.8423 0.5527
S 7.8047 0.0000 2.6500
S 6.8354 -1.8423 5.7502
S 11.3448 0.0000 3.6256
! Uncorrected energy   -7.468 eV per atom
! Raw formation energy   -1.588 eV/atom
! Calculated volume   359.1 Å³/f.u.
! Space group   C2/m (12)
! Density   5.791 Mg/m³

Worked solution:
4